In 1897, a psychologist named George Stratton put on a pair of goggles that flipped everything 180 degrees: up became down, left became right. He wore them for eight days, initially stumbling about in severe disorientation. Eventually, however, his brain adapted to the new way of seeing–and he was just as disoriented when he took them off. For historian of science Thomas Kuhn, Stratton’s experiment illustrated that there is no such thing as “seeing the world as it is.” We see the world through the lens of ideas handed down to us.
And sometimes those lenses change. The old ideas don’t let us see what we need to see or do what we need to do. We lost big on Tuesday, and we’ve now only begun the work of analyzing what went wrong. Part of that work involves moving beyond criticizing what people did, or didn’t do, and taking a sharp look at the lenses that allowed so many to get this thing so wrong.
We habitually think of politics through the directional metaphor of left, center, and right. Political positions are arranged on a spectrum along which people are presumed to move as their views change: a rightward shift, a leftward movement.
In our two-party system, parties are assigned positions on the spectrum: Democrats on the left and Republicans on the right. Undecided voters are assigned to the middle, under the presumption that someone who shifts between the two parties must be a political moderate, equally allergic to a strong progressive platform and to the reactionary ranting of the conservatives.
The left/right divide as currently understood may obscure more than it reveals.
Finally, in national elections, this party-dominated spectrum coalesces into a face-off of two candidates for the presidency, as if all of political life could be boiled down to a slugfest between two individuals once every four years.
At best, this vision is simplistic. At worst, this way of categorizing the political life of our country furthers the divisive agenda of capital. In fact, we have to accept some of Trump’s supporters may have had a hard time bringing themselves to vote for him, just as some on the left had a hard time bringing themselves to vote for Hillary Clinton.
Just before the elections, we spoke with a woman whose big issue was health care. She was annoyed because her clinic was forcing her to come in to be seen to get refills on her medication. She didn’t fundamentally mind coming to the doctor, but every time she came she had to pay $250. I asked her about health insurance, but this was the payment with her plan. She had purchased insurance through the marketplace because it was required. She paid $200 a month for the plan and she had a $6000 deductible which essentially meant all her health care costs were out of pocket anyway. As we talked about the changes under ACA she hoped for a time when it wouldn’t exist anymore. I didn’t ask specifically if she was planning on voting for Trump for president, but I’m sure she was, as most people did in the rural part of Pennsylvania where I live.
Did this woman vote for Trump because she supported his racist, sexist, homophobic, xenophobic rhetoric? No. I don’t think she was heading to any Black Lives Matter protests (yet), but bigotry was not what motivated her. She voted for Trump because she, like most Americans, are suffering economically and she saw an opportunity, through the election of Trump, to make a concrete improvement in her own financial situation.
Other conversations were similar. A waitress at a local diner told us that, as a woman raising daughters, she’d like to vote for Hillary, but her husband worked in manufacturing and she was afraid of more plants being closed and jobs being sent overseas. One of our relatives said that she was voting for Hillary despite disagreeing with her on reproductive choice. She wasn’t excited, she said, but she agreed more than she disagreed.
This is anecdotal evidence, not a systematic survey of the working class. And it doesn’t mean that working people correctly identify who represents their interests in either the short or the long term. But it does suggest that people’s decision about which candidate to support is not always made lightly, or in a vacuum, or under the influence of media brainwashing.
**Misplaced calculated crystals:**
=====
DFT (GGA-PBE) results for a relaxed structure of La6Pt2SeI3.

abc: 7.6268 7.6268 8.2811
angles: 98.85 98.85 119.85
Last column: nearest neighbours and their distance in Å.
Atoms (fractional coordinates):
La: 0.4176 0.0668 0.1969  2 Pt 2.92, 1 Se 3.10
I: 0.5000 0.5000 0.5000  6 La 3.40-3.54
I: 0.1600 0.8400 0.5000  6 La 3.45-3.55
La: 0.5824 0.9332 0.8031  2 Pt 2.92, 1 Se 3.10
La: 0.9332 0.5824 0.8031  2 Pt 2.92, 1 Se 3.10
Pt: 0.3327 0.6673 0.0000  6 La 2.92
La: 0.7140 0.7140 0.1951  2 Pt 2.92, 1 Se 3.09
Se: 0.0000 0.0000 0.0000  6 La 3.09-3.10
La: 0.0668 0.4176 0.1969  2 Pt 2.92, 1 Se 3.10
La: 0.2860 0.2860 0.8049  2 Pt 2.92, 1 Se 3.09
I: 0.8400 0.1600 0.5000  6 La 3.45-3.55
Pt: 0.6673 0.3327 0.0000  6 La 2.92

Values from the calculation:
As for the energy: -5.448 eV per atom. The calculated volume comes out at 33.13 Å³ per atom. As for the density of states at the Fermi level: 10.73 states/eV/cell. As for the formation energy (no corrections): -1299 meV/atom.

=====

[1]
Here is crystalline TbSc2Cd at its relaxed geometry from the Alexandria database. Energies are from PBE.

Cell lengths 3.4144, 3.4144, 30.8437 Å; angles 90.00, 90.00, 120.00 degrees
Closest atoms and distances in Å follow each position.
Space group R3m (No. 160, hexagonal axes)
Inequivalent atoms, fractional coordinates:
Tb1 0.0000 0.0000 0.0000 (multiplicity 3)  6 Sc 3.38-3.40, 6 Tb 3.41
Sc1 0.0000 0.0000 0.2444 (multiplicity 3)  3 Cd 3.09, 3 Tb 3.38, 6 Sc 3.41
Sc2 0.0000 0.0000 0.4230 (multiplicity 3)  3 Cd 3.10, 3 Tb 3.40, 6 Sc 3.41
Cd1 0.0000 0.0000 0.8339 (multiplicity 3)  6 Sc 3.09-3.10, 6 Cd 3.41

***

[2]
Here is crystalline TbScCd3 at its relaxed geometry from the Alexandria database. Energies are from PBE.

Cell lengths 6.9806, 6.9806, 6.2281 Å; angles 90.00, 90.00, 120.00 degrees
Closest atoms and distances in Å follow each position.
Space group P6_3/mmc (No. 194)
Inequivalent atoms, fractional coordinates:
Tb1 0.3333 0.6667 0.2500 (multiplicity 2)  12 Cd 3.51
Sc1 0.0000 0.0000 0.0000 (multiplicity 2)  6 Cd 2.87, 2 Sc 3.11
Cd1 0.1989 0.3979 0.7500 (multiplicity 6)  2 Cd 2.81, 2 Sc 2.87

***

[3]
Here is crystalline Tb2Sc8Cd at its relaxed geometry from the Alexandria database. Energies are from PBE.

Cell lengths 14.8910, 6.1818, 6.3101 Å; angles 90.00, 101.86, 90.00 degrees
Closest atoms and distances in Å follow each position.
Space group C2/m (No. 12)
Inequivalent atoms, fractional coordinates:
Tb1 0.1862 0.0000 0.2923 (multiplicity 4)  9 Sc 3.20-3.55, 1 Cd 3.30
Sc1 0.0790 0.2607 0.8798 (multiplicity 8)  1 Cd 2.93, 6 Sc 2.96-3.27, 1 Tb 3.20
Sc2 0.0930 0.5000 0.4191 (multiplicity 4)  6 Sc 3.07-3.31, 1 Tb 3.42
Sc3 0.2453 0.0000 0.8152 (multiplicity 4)  5 Sc 3.05-3.27, 4 Tb 3.24-3.37
Cd1 0.0000 0.0000 0.5000 (multiplicity 2)  4 Sc 2.93

***
=====
Voters–including the white, working-class voters who are being accused of handing this country to Donald Trump–are multi-dimensional. They struggle with complex sets of issues and allegiances. Not every person who voted for Donald Trump did so out of rabid white nationalism, any more than they did so as a protest vote against the Democratic Party.
We need to get rid of the idea that national electoral campaigns based on rallying for one candidate over another will move people along an imaginary spectrum from right to left.
So it’s time to change our lenses. We need to get rid of the idea that national electoral campaigns based on rallying for one candidate over another will move people along an imaginary spectrum from right to left.
**Attached: records of crystals**
Record 1
Ac6PmDy3: optimized geometry, GGA-PBE.

a = 13.9823 Å, b = 3.7771 Å, c = 16.0733 Å
α = 90.00°, β = 109.00°, γ = 90.00°
Space group P2_1/m (No. 11)
One atom of each set of equivalent atoms:
1 Ac 0.0171 0.2500 0.4031
2 Ac 0.0498 0.7500 0.1997
3 Ac 0.2053 0.7500 0.8069
4 Ac 0.3278 0.7500 0.2222
5 Ac 0.3780 0.2500 0.0188
6 Ac 0.4552 0.7500 0.5940
7 Pm 0.4291 0.2500 0.7985
8 Dy 0.1127 0.7500 0.9974
9 Dy 0.2202 0.2500 0.6084
10 Dy 0.2700 0.2500 0.3985

---

Record 2
Ac2PmDy: optimized geometry, GGA-PBE.

a = 3.7266 Å, b = 3.7266 Å, c = 39.4113 Å
α = 90.00°, β = 90.00°, γ = 120.00°
Space group R-3m (No. 166, hexagonal axes)
One atom of each set of equivalent atoms:
1 Ac 0.0000 0.0000 0.0878
2 Pm 0.0000 0.0000 0.5000
3 Dy 0.0000 0.0000 0.0000

Its energy relative to the lowest polymorph listed for this composition is 19.7 kJ/mol of atoms.

---

Record 3
Ac2Pm2Dy: optimized geometry, GGA-PBE.

a = 4.9380 Å, b = 4.9380 Å, c = 16.6888 Å
α = 90.00°, β = 90.00°, γ = 90.00°
Space group I4/mmm (No. 139)
One atom of each set of equivalent atoms:
1 Ac 0.0000 0.5000 0.2500
2 Pm 0.0000 0.0000 0.0907
3 Dy 0.0000 0.0000 0.5000

Its energy relative to the lowest polymorph listed for this composition is 23.8 kJ/mol of atoms.

---

Record 4
Ac2Pm5Dy5: optimized geometry, GGA-PBE.

a = 15.5961 Å, b = 5.1571 Å, c = 11.5980 Å
α = 90.00°, β = 116.73°, γ = 90.00°
Space group C2/m (No. 12)
One atom of each set of equivalent atoms:
1 Ac 0.0826 0.0000 0.2506
2 Pm 0.0000 0.0000 0.5000
3 Pm 0.1683 0.0000 0.0005
4 Pm 0.2452 0.0000 0.7473
5 Dy 0.0000 0.5000 0.0000
6 Dy 0.0860 0.5000 0.7498
7 Dy 0.1661 0.5000 0.5024

---

Record 5
AcPm2Pr2Dy2: optimized geometry, GGA-PBE.

a = 11.6649 Å, b = 5.2031 Å, c = 8.2693 Å
α = 90.00°, β = 98.11°, γ = 90.00°
Space group C2/m (No. 12)
One atom of each set of equivalent atoms:
1 Ac 0.0000 0.0000 0.0000
2 Pm 0.1415 0.0000 0.4321
3 Pr 0.2149 0.5000 0.1493
4 Dy 0.0736 0.5000 0.7068

---

Record 6
AcPmPrDy: optimized geometry, GGA-PBE.

a = 5.2669 Å, b = 5.2669 Å, c = 10.5737 Å
α = 90.00°, β = 90.00°, γ = 90.00°
Space group I-4m2 (No. 119)
One atom of each set of equivalent atoms:
1 Ac 0.0000 0.0000 0.0000
2 Pm 0.0000 0.5000 0.7500
3 Pr 0.0000 0.5000 0.2500
4 Dy 0.0000 0.0000 0.5000

Its energy relative to the lowest polymorph listed for this composition is 0.0 kJ/mol of atoms.

---

Record 7
Ac2Pm2PrDy: optimized geometry, GGA-PBE.

a = 7.3670 Å, b = 5.9448 Å, c = 10.2600 Å
α = 90.00°, β = 90.00°, γ = 90.00°
Space group Pmma (No. 51)
One atom of each set of equivalent atoms:
1 Ac 0.0000 0.0000 0.0000
2 Ac 0.2500 0.5000 0.1729
3 Pm 0.2500 0.0000 0.3430
4 Pm 0.2500 0.5000 0.8267
5 Pr 0.0000 0.5000 0.5000
6 Dy 0.2500 0.0000 0.6647

---

Record 8
AcPm2Pr2Dy: optimized geometry, GGA-PBE.

a = 5.8501 Å, b = 10.1037 Å, c = 7.3029 Å
α = 90.00°, β = 90.00°, γ = 90.00°
Space group Pmc2_1 (No. 26)
One atom of each set of equivalent atoms:
1 Ac 0.0000 0.9999 0.0000
2 Pm 0.0000 0.3360 0.2506
3 Pm 0.5000 0.1711 0.7499
4 Pr 0.0000 0.3344 0.7507
**Back to the page**
The unity we need to defeat the Trump-led right can only come from a broad unity on progressive issues that matter to the multiracial working class. And we have to start by figuring out what those issues are, which means we have to get out there and talk to people about something other than electoral campaigns. A discussion of single-payer might engage the health care voter in a way that a discussion of what candidate to vote for could not.
== Crystal structures, kept here for reference ==
Density functional theory data (PBE-GGA) for PaBIrOs2 after structural relaxation.

Cell lengths 4.2142, 4.2579, 4.2579 Å; angles 90.00, 90.00, 90.00 degrees
With the nearest neighbours (Å) after each atom.
Element x y z (fractional)
Ir  0.5000  0.0000  0.0000  2 B 2.11
B  0.0000  0.0000  0.0000  2 Ir 2.11, 4 Os 2.13
Os  0.0000  0.0000  0.5000  2 B 2.13
Pa  0.5000  0.5000  0.5000  8 Os 3.00, 4 Ir 3.01
Os  0.0000  0.5000  0.0000  2 B 2.13

Results
**Total magnetization**: 0.000 Bohr magnetons per cell
**ρ**: 17.70 g cm⁻³
**N(E_F)**: 3.054 states/eV/cell
**Raw total energy**: -9.92 eV/atom

***

Density functional theory data (PBE-GGA) for CrHg2Cl after structural relaxation.

Cell lengths 3.5272, 3.5279, 9.5096 Å; angles 90.29, 90.06, 120.01 degrees
With the nearest neighbours (Å) after each atom.
Element x y z (fractional)
Cl  0.3972  0.5509  0.9600  3 Cr 2.51
Hg  0.0686  0.8916  0.3240  3 Cr 2.85, 1 Hg 2.94
Hg  0.0756  0.9013  0.6332  1 Hg 2.94
Cr  0.7327  0.2205  0.1142  3 Cl 2.51

Results
**Total magnetization**: 4.407 Bohr magnetons per cell
**ρ**: 7.92 g cm⁻³
**N(E_F)**: 3.971 states/eV/cell
**Raw total energy**: -3.10 eV/atom

***

Density functional theory data (PBE-GGA) for CaLaIr2 after structural relaxation.

Cell lengths 6.4318, 6.4318, 6.4318 Å; angles 151.60, 135.32, 53.79 degrees
With the nearest neighbours (Å) after each atom.
Element x y z (fractional)
Ir  0.7796  0.2796  0.5000  2 Ir 2.64
Ca  0.2288  0.7288  0.5000  4 Ir 2.97, 2 Ca 3.16
Ir  0.9643  0.9643  0.0000  2 Ir 2.64
La  0.5273  0.5273  0.0000  6 Ir 3.00-3.30, 2 La 3.16

Results
**Total magnetization**: 0.000 Bohr magnetons per cell
**ρ**: 10.57 g cm⁻³
**N(E_F)**: 2.366 states/eV/cell
**Raw total energy**: -6.45 eV/atom

***

> raw total energy of number 2 (CrHg2Cl)?

-3.10 eV/atom

***

> Among the records above, which one has the lowest N(E_F)?

CaLaIr2

----------

This record from Alexandria describes a relaxed CaHfTiNi2 crystal. The functional is PBE-GGA.

Unit cell a=4.752 b=4.752 c=4.828 alpha=90.00 beta=90.00 gamma=90.00
Fractional coordinates of all 5 atoms:
Ca (0.000, 0.000, 0.000)
Hf (0.500, 0.500, 0.500)
Ti (0.500, 0.500, 0.000)
Ni (0.000, 0.500, 0.500)
Ni (0.500, 0.000, 0.500)

- symmetry = No. 123
- formation energy (eV/atom) = 0.668
- DOS at the Fermi energy (states/eV/cell) = 5.3

---

This record from Alexandria describes a relaxed CaHf2ZrNi crystal. The functional is PBE-GGA.

Unit cell a=5.077 b=5.077 c=5.488 alpha=90.00 beta=90.00 gamma=90.00
Fractional coordinates of all 5 atoms:
Ca (0.000, 0.000, 0.000)
Hf (0.000, 0.500, 0.500)
Hf (0.500, 0.000, 0.500)
Zr (0.000, 0.000, 0.500)
Ni (0.500, 0.500, 0.000)

- symmetry = No. 123
- formation energy (eV/atom) = 1.462
- DOS at the Fermi energy (states/eV/cell) = 7.1

---

This record from Alexandria describes a relaxed CaHfNpO6 crystal. The functional is PBE-GGA.

Unit cell a=5.590 b=5.590 c=9.828 alpha=90.00 beta=90.00 gamma=120.00
Fractional coordinates of all 18 atoms:
Ca (0.000, 0.000, 0.000)
== The text goes on ==
We can’t win people over just by choosing the right candidate. Bernie may have stood a better chance against Trump, but that’s no longer the question. Working-class people are wrong about the benefits they would see with a Trump presidency, but this is precisely what went wrong with this election. It became an election about candidates instead of issues. The questions got framed in ways that obscured the real facts and convinced people to vote against their own interests.
Building unity on issues is hard, because many of the people we need to win hold positions that are toxic to unity. Racism, sexism, and nationalism are real and present problems, but we can’t stamp them out by writing off every person who cast a ballot for Donald Trump. We must convince people that Trump’s policies are racist and sexist, but we can’t do that with a blanket accusation of racism against all who cast a ballot for him. Doing so is accepting the divisive tactics of the ruling class as unavoidable political realities, instead of fighting them with a compelling vision of unity for progressive change.
We have to build unity from the ground up, identifying key issues, organizing around a “people before profits” message, and openly confronting racism, sexism, and homophobia as tools of the ruling class. Good candidates, winning platforms, and massive electoral victories can only be built on that basis.